A few months back, I went to Patisserie Lenox’s Great Barrington outpost for a light lunch of coffee and the perfect Croque Monsieur. At the counter were baskets heaped with beautifully prepared croissants, danishes, and other laminated-dough pastries, Madeleines, brownies, the ubiquitous pastel macaron—all of it looked wonderful. I had such respect for the care, time, and hard work that went into creating those things. I know how hard it is to turn out that kind of traditional pastry, so I was flabbergasted when a patron walked in and asked the counterperson, “Do you have anything that’s gluten-free?”
So, as both a chef and a former medical student, I’m often asked about what I think of the latest eating mode du jour, like gluten-free. Or Paleo. Or clean eating. Or juicing. The list goes on.
The entry is interrupted by data records:
'''
1.
DFT (ωB97M-V/def2-TZVPD) results for a single C4H8N2 molecule.

The geometry in ORCA input format:
```
! wB97M-V def2-TZVPD RIJCOSX def2/J DEFGRID3
* xyz 0 1
C 1.93114 -0.12585 -0.01018
N 1.05023 -1.24989 0.29323
C 0.66749 -0.31516 -0.77027
C -0.56165 0.52495 -0.54448
C -1.69889 -0.05040 0.30258
N -0.76216 0.89765 0.82911
H 2.87855 -0.41079 -0.46660
H 1.99402 0.68125 0.71714
H 0.52254 -0.99121 1.12867
H 0.75606 -0.72415 -1.77395
H -1.27648 0.72168 -1.32492
H -1.61946 -1.10672 0.49620
H -2.71135 0.34190 0.13509
H -1.17002 1.80675 0.98838
*
```

As for the SMILES: C1N[C@H]1[C@H]1CN1. The calculation puts the gap between HOMO and LUMO at 10.0 eV. The energy above the lowest of the compared OMol25 structures with the same formula, charge and spin comes out at 71.9 kcal per mole.

=====

2.
DFT (ωB97M-V/def2-TZVPD) results for a single C4H8N2 molecule.

The geometry in ORCA input format:
```
! wB97M-V def2-TZVPD RIJCOSX def2/J DEFGRID3
* xyz 0 1
C -1.02884 -1.17326 1.38438
C -0.08952 -0.66474 0.30191
N -0.33853 0.74698 0.02024
C 0.25078 1.22143 -1.21151
C 1.68114 0.86356 -1.40094
N 2.78662 0.54028 -1.51161
H -2.06871 -1.08897 1.05544
H -0.91616 -0.59332 2.30712
H -0.81528 -2.22022 1.62369
H 0.95989 -0.84782 0.58249
H -0.26007 -1.22217 -0.62696
H -0.01682 1.31574 0.79664
H 0.16086 2.31107 -1.25946
H -0.30535 0.81144 -2.06143
*
```

As for the SMILES: CCNCC#N. The calculation puts the gap between HOMO and LUMO at 10.6 eV. The energy above the lowest of the compared OMol25 structures with the same formula, charge and spin comes out at 12.2 kcal per mole.

=====

3.
DFT (ωB97M-V/def2-TZVPD) results for a single C4H8N2 molecule.

The geometry in ORCA input format:
```
! wB97M-V def2-TZVPD RIJCOSX def2/J DEFGRID3
* xyz 0 1
C -0.30940 1.30135 0.43327
N -0.40629 0.07027 -0.33828
C -1.33386 -0.90178 0.20604
C 0.84699 -0.52471 -0.79406
C 2.05653 0.14662 -0.29449
N 2.99242 0.62386 0.18832
H -1.27007 1.48052 0.92379
H -0.10437 2.15593 -0.22184
H 0.46640 1.27910 1.21384
H -1.09144 -1.22632 1.23400
H -1.35659 -1.78686 -0.43797
H -2.34344 -0.47662 0.20789
H 0.87560 -0.58778 -1.88963
H 0.97753 -1.55357 -0.43088
*
```

As for the SMILES: CN(C)CC#N. The calculation puts the gap between HOMO and LUMO at 9.7 eV. The energy above the lowest of the compared OMol25 structures with the same formula, charge and spin comes out at 25.6 kcal per mole.

=====

4.
DFT (ωB97M-V/def2-TZVPD) results for a single C4H8N2 molecule.

The geometry in ORCA input format:
```
! wB97M-V def2-TZVPD RIJCOSX def2/J DEFGRID3
* xyz 0 1
H 2.94458 0.85573 -0.31325
N 2.55737 0.74327 0.65962
C 1.30594 0.50329 0.57662
N 0.45813 0.32024 -0.49727
C -0.91484 0.21784 -0.23399
C -1.75179 -0.83363 -0.91366
C -1.43750 -0.87579 0.55262
H 0.75882 0.07890 1.41999
H 0.71159 0.89564 -1.34655
H -1.63372 1.10146 -0.12169
H -1.39507 -1.63598 -1.59753
H -2.75277 -0.52729 -1.23815
H -0.78083 -1.69827 0.77615
H -2.17202 -0.58505 1.39502
*
```
'''
The entry goes on:
Let’s start with gluten-free, something that’s gained considerable momentum lately. First, what is gluten, anyway? Gluten is a protein comprised of gliadin and glutenin, and it’s found in foods processed from wheat and grains including barley, rye, and spelt. Long story short, when you add water to flour made from these grains, and then physically manipulate the resulting dough, gluten strands form, creating a strong, webbed network. Add yeast to the whole magilla and the yeast will munch on starches contained therein, belch out carbon dioxide which gets trapped by the gluten strands, and quite literally POOF! Bread dough rises.
Now, about that whole gluten-free diet thing….proteins are notorious for man-handling your immune system and inducing allergies or sensitivities. However, the odds are startlingly low that you (or most folks) really need to be gluten-free because of an allergy. The key immune response to gluten is Celiac disease (see also gluten-sensitive enteropathy or celiac sprue.) In 2002, the estimated frequency of Celiac was 1 in 3000*. That’s 0.03% gluten-sensitive enteropathy. So for every 2,999 people reading this, you don’t need be on a gluten-free diet. (And while more recent figures from a 2012 study put Celiac frequency at 0.71%** of the population—a slight increase—it’s still only a 1 in 141 shot that you have Celiac. I know folks who have Celiac and it is a cruel condition. I genuinely feel for them.)
Okay, fine, so, you probably don’t have Celiac. Do you eat pasta or uncultured white bread (bread not made with a long-fermentation starter, like sourdough bread) and feel bloated and unwell? Could you have gluten sensitivity? Yes. (It’s entirely possible you ate too much, too.) But let me say this again: Is it possible you are gluten-sensitive? Yes. How do you know you are gluten sensitive? Because you have been to a trained medical professional and had allergy and sensitivity tests. That is the only way to know if you are gluten-sensitive.
So if you want to know—really know, definitively—about gluten-sensitivity, visit your primary care physician, or an allergist, and prevail upon the wonders of medical science for allergy testing! Don’t have the time, energy, motivation to do that and think you’re doing better eating fewer refined, simple carbohydrates? Great. Good for you! But that does not mean you have to go gluten-free and/or are gluten-sensitive. What I would posit is that insulin receptors are saying, “Thanks!” Today’s abundance and availability of easily digested, over-processed, simple carbohydrates mean that your body is probably experiencing insulin spikes. By switching off of simple carbohydrates (like those typically found in pasta and un-fermented white breads) you’ve likely eliminated some of the insulin spiking and feel more energetic, less logy, etc. And that’s great.
But that still doesn’t mean you are gluten sensitive or have Celiac.

Grilled Buffalo wings. You don’t have to do Paleo or Atkins if you occasionally want an all-protein dinner. Just try to aim for pasture-raised chickens and don’t eat wings for dinner every day!
So, why do I think that there’s quite a bit going on around gluten-free? Well….
- Big Food has a lot to gain by selling things that appeal to the latest dietary trend. What’s popular these days? Gluten-free. Great. Slap a label on the Doritos and we’ll sell more of them.
- People like a magic bullet. They want one, easy, simple answer to being thin, rich, popular, and living forever.
- Peer pressure. Seriously, there is a major element of, “Everyone else is doing it, so maybe I should, too.”
- Sugar + white flour = Yum! Most really delicious, calorically-dense foods are made with sugar and white flour, and well, who doesn’t love yum? Have you ever had a Flour bakery sticky bun? It’s a little footprint of heaven right here on Earth. Or, in your mouth. Or wherever. So, one good way to self-limit and not “feel bad” about what you eat is to tell the whole world you just can’t eat it. Problem solved. (See also: Item two about magic bullets.)

Will the dough of this Savoyard pizza going to give you problems? For someone who really has Celiac, it will.
Again, if you really think you have Celiac or a high gluten sensitivity, please go see your primary care physician. Don’t self-diagnose. Instead, collect empirical evidence, with the help of your friend called “Science.”
* Farrell RJ, Kelly CP. Celiac sprue [review]. N Eng J Med. 2002;346:180 –188.
** Am J Gastroenterol. 2012 Oct;107(10):1538-44; quiz 1537, 1545. doi: 10.1038/ajg.2012.219. Epub 2012 Jul 31.